Summer Camp Counselor Staff at Cirle F Dude Ranch
Meet Our Counselors
+++
A relaxed structure of Li3Co4O8. Source: the Materials Project, functional GGA+U.

a b c (Å): 5.8713 5.8713 5.2066
angles (deg): 106.71 106.71 60.16
With the nearest neighbours (Å) after each atom.
Atoms (fractional coordinates):
Li  0.0000  0.0000  0.0000  6 O 2.15-2.17
Li  0.0000  0.5000  0.0000  6 O 2.13-2.20
Li  0.5000  0.0000  0.0000  6 O 2.13-2.20
Co  0.2526  0.7474  0.5000  6 O 2.01-2.06
Co  0.2558  0.2558  0.5207  6 O 1.97-2.01
Co  0.7442  0.7442  0.4793  6 O 1.97-2.01
Co  0.7474  0.2526  0.5000  6 O 2.01-2.06
O  0.1051  0.6283  0.7128  3 Co 1.97-2.02, 2 Li 2.17-2.20
O  0.1231  0.1231  0.7348  3 Co 2.01-2.06, 3 Li 2.13-2.15
O  0.3717  0.8949  0.2872  3 Co 1.97-2.02, 2 Li 2.17-2.20
O  0.3745  0.3745  0.2865  3 Co 1.98-2.01, 2 Li 2.18
O  0.6255  0.6255  0.7135  3 Co 1.98-2.01, 2 Li 2.18
O  0.6283  0.1051  0.7128  3 Co 1.97-2.02, 2 Li 2.17-2.20
O  0.8769  0.8769  0.2652  3 Co 2.01-2.06, 3 Li 2.13-2.15
O  0.8949  0.3717  0.2872  3 Co 1.97-2.02, 2 Li 2.17-2.20

Calculated values
The energy relative to the lowest polymorph listed for this composition is 54 meV/atom. The value obtained for the formation energy is -35.39 kcal/mol of atoms. The calculated total energy comes out at -84.72 eV/f.u. As for the MP2020-corrected energy: -6.451 eV per atom.

A relaxed structure of Li2CoO2. Source: the Materials Project, functional GGA+U.

a b c (Å): 3.1530 3.1530 5.1243
angles (deg): 90.00 90.00 120.00
With the nearest neighbours (Å) after each atom.
Atoms (fractional coordinates):
Li  0.3333  0.6667  0.1425  4 O 1.92-2.08
Li  0.6667  0.3333  0.8575  4 O 1.92-2.08
+++
3 to 1 Camper to Staff Ratio Throughout Camp
Our Staff Is Passionate About Your Child
Circle F counselors and staff come from many different places and walks of life, but one thing is common and that is their passion for working with kids. From the cabin counselor to the administration, our camp staff understand they play an important role in your child’s time at Circle F Dude Ranch.

The Role Our Summer Camp Counselor Staff Plays
Is a camp counselor a parent, a coach, or a best friend? None of these analogies are perfect, because being part of Circle F’s staff has its own special characteristics and relationships. Our team understands that kids have parents or guardians who are raising them according to their beliefs, values, and ethics.
Coaches often serve as mentors and guides for children, and camp counselors do fill this role, but the relationships between a camper and counselor are much more congenial and familiar than in most coaching environments.
Because of this, many campers want to be their counselor’s friends. While a camp counselor can have a lot of fun and be enormously helpful to a child, being a best friend is a very different kind of relationship and there are drawbacks to this role. This is why our staff set limits with campers (for both the campers and staffs own physical and emotional safety), in ways that a friend would not.

Camp Counselors Become Big Brothers & Big Sisters
Circle F staff are trained to be role models. We train our counselors to think like a big brother or sister might…
- A big brother wouldn’t let a younger sibling do something to hurt him or herself or others.
- A big sister would intervene when a younger sibling was getting too wound up.
- A big brother would care for his or her sibling, have fun, and take an interest in them while still being able to put on the brakes when needed.
• Inserted here: materials data:
=====
The following is a PBE calculation of a relaxed structure of LuSeO3F, from the Materials Project database.

Results
SG: P2_1/m
Total magnetic moment, Bohr magnetons per cell: 0.0
Formation energy from the elements, meV/atom: -2862
Crystal system: monoclinic

POSCAR file:
```
LuSeO3F
1.0
4.299 0.000 0.000
0.000 6.927 0.000
-0.601 0.000 6.500
Lu Se O F
2 2 6 2
Cartesian
0.078 1.732 0.849
3.620 5.195 5.652
0.556 5.195 2.288
3.142 1.732 4.212
0.093 3.960 1.144
0.093 6.430 1.144
0.092 1.732 3.069
3.606 5.195 3.431
3.605 0.496 5.356
3.605 2.967 5.356
1.475 5.195 5.582
2.223 1.732 0.919
```

----------

(i)
Compound: LiNiP4O12
Source: Materials Project
Functional: GGA+U
Structure: optimized geometry

The structure in POSCAR format:
```
LiNiP4O12
1.0
4.772 -5.753 0.000
4.772 5.753 0.000
0.000 0.000 18.245
Li Ni P O
4 4 16 48
direct
0.205 0.111 0.644
0.889 0.795 0.856
0.795 0.889 0.144
0.111 0.205 0.356
0.572 0.968 0.889
0.032 0.428 0.611
0.428 0.032 0.389
0.968 0.572 0.111
0.043 0.763 0.351
0.237 0.957 0.149
0.293 0.777 0.008
0.223 0.707 0.492
0.374 0.626 0.750
0.249 0.342 0.189
0.658 0.751 0.311
0.354 0.354 0.500
0.646 0.646 0.000
0.342 0.249 0.811
0.751 0.658 0.689
0.626 0.374 0.250
0.777 0.293 0.992
0.707 0.223 0.508
0.763 0.043 0.649
0.957 0.237 0.851
0.047 0.842 0.149
0.158 0.953 0.351
0.349 0.942 0.216
0.058 0.651 0.284
0.329 0.896 0.484
0.104 0.671 0.016
0.086 0.654 0.422
0.346 0.914 0.078
0.114 0.667 0.561
0.333 0.886 0.939
0.417 0.800 0.793
0.200 0.583 0.707
0.505 0.805 0.353
0.195 0.495 0.147
0.359 0.564 0.481
0.436 0.641 0.019
0.786 0.836 0.635
0.164 0.214 0.865
0.532 0.613 0.691
0.387 0.468 0.809
0.697 0.755 0.931
0.245 0.303 0.569
0.169 0.293 0.263
0.707 0.831 0.237
0.293 0.169 0.737
0.831 0.707 0.763
0.303 0.245 0.431
0.755 0.697 0.069
0.613 0.532 0.309
0.468 0.387 0.191
0.214 0.164 0.135
0.836 0.786 0.365
0.641 0.436 0.981
0.564 0.359 0.519
0.805 0.505 0.647
0.495 0.195 0.853
0.800 0.417 0.207
0.583 0.200 0.293
0.667 0.114 0.439
0.886 0.333 0.061
0.654 0.086 0.578
0.914 0.346 0.922
0.896 0.329 0.516
0.671 0.104 0.984
0.651 0.058 0.716
0.942 0.349 0.784
0.953 0.158 0.649
0.842 0.047 0.851
```

Computed properties:
As for the symmetry: C222_1.


(ii)
Compound: LiNiP4O12
Source: Materials Project
Functional: GGA+U
Structure: optimized geometry

The structure in POSCAR format:
```
LiNiP4O12
1.0
-2.325 -3.691 -7.163
8.036 1.960 -3.618
4.551 -10.960 4.171
Li Ni P O
4 4 16 48
direct
0.010 0.750 0.000
0.990 0.250 0.000
0.490 0.250 0.500
0.510 0.750 0.500
0.371 0.750 0.000
0.629 0.250 0.000
0.129 0.250 0.500
0.871 0.750 0.500
0.816 0.502 0.862
0.184 0.002 0.862
0.540 0.994 0.854
0.460 0.494 0.854
0.184 0.498 0.138
0.816 0.998 0.138
0.460 0.006 0.146
0.540 0.506 0.146
0.040 0.506 0.354
0.960 0.006 0.354
0.960 0.494 0.646
0.684 0.498 0.362
0.316 0.502 0.638
0.684 0.002 0.638
0.040 0.994 0.646
0.316 0.998 0.362
0.862 0.867 0.377
0.903 0.638 0.892
0.543 0.873 0.937
0.457 0.373 0.937
0.190 0.627 0.061
0.810 0.127 0.061
0.457 0.127 0.063
=====
- Unlike a friend, a big sister would not share with a younger sister or brother certain confidences because it could be confusing, upsetting, or put too much of a burden on them.
- Our “older brothers and sisters” ultimately will make sure to care for their little brother or sister’s emotional and physical well-being.
Who Do We Hire?
The Circle F summer camp counselors are some of the most talented college-aged adults from around the world. They are a mix of former campers, international exchange program participants, and youth-focused individuals from across the U.S. Check out our staff section to discover more about who we hire.
Where Are Counselors From?
Circle F Dude Ranch camp hires staff from all over the world. Domestic staff primarily come from Southern Florida and major cities such as Miami, Orlando, West Palm, Tampa, and Naples. Every year staff are hired from all across the U.S., plus Circle F hires international counselor staff from countries such as Ireland, the United Kingdom, Turkey, Jamaica, France, Mexico, and Israel.
How Many Are There?
The Circle F staff includes around 70 unique individuals working in multiple departments and roles, giving us a total 3:1 camper to staff ratio throughout camp.

Training and Certification
[Inserted here: materials data]
- - -
1.
Density functional theory data (PBE-GGA) for an optimized crystal structure of Na2MgZn5As6O24.

Cell and atoms, written as CIF:
```
data_Na2MgZn5As6O24
_chemical_formula_sum 'Na4 Mg2 Zn10 As12 O48'
_symmetry_space_group_name_H-M 'C 1 2 1'
_symmetry_Int_Tables_number 5
_cell_length_a 12.2356
_cell_length_b 12.3751
_cell_length_c 6.9003
_cell_angle_alpha 90.00
_cell_angle_beta 113.05
_cell_angle_gamma 90.00
loop_
_symmetry_equiv_pos_as_xyz
'x,y,z'
'-x,y,-z'
'x+1/2,y+1/2,z'
'-x+1/2,y+1/2,-z'
loop_
_atom_site_label
_atom_site_fract_x
_atom_site_fract_y
_atom_site_fract_z
_atom_site_occupancy
Na1 0.0000 0.0000 0.0000 1
Na2 0.0000 0.0188 0.5000 1
Mg1 0.0000 0.7266 0.5000 1
Zn1 0.0000 0.2929 0.0000 1
Zn2 0.2092 0.1677 0.8722 1
Zn3 0.2086 0.8507 0.3718 1
As1 0.0000 0.3207 0.5000 1
As2 0.0000 0.6986 0.0000 1
As3 0.2242 0.1230 0.3650 1
As4 0.2246 0.8952 0.8645 1
O1 0.0350 0.2421 0.7254 1
O2 0.0347 0.7759 0.2259 1
O3 0.1178 0.4042 0.5166 1
O4 0.1177 0.6148 0.0164 1
O5 0.1271 0.4147 0.0843 1
O6 0.1284 0.6046 0.5861 1
O7 0.1466 0.0050 0.3458 1
O8 0.1473 0.0135 0.8456 1
O9 0.1515 0.1864 0.1231 1
O10 0.1508 0.8320 0.6236 1
O11 0.2106 0.1988 0.5662 1
O12 0.2110 0.8201 0.0662 1
```


2.
Density functional theory data (PBE-GGA) for an optimized crystal structure of Mg6Ni16As7.

Cell and atoms, written as CIF:
```
data_Mg6Ni16As7
_chemical_formula_sum 'Mg24 Ni64 As28'
_symmetry_space_group_name_H-M 'F m -3 m'
_symmetry_Int_Tables_number 225
_symmetry_space_group_name_Hall '-F 4 2 3'
_cell_length_a 11.5420
_cell_length_b 11.5420
_cell_length_c 11.5420
_cell_angle_alpha 90.00
_cell_angle_beta 90.00
_cell_angle_gamma 90.00
loop_
_atom_site_label
_atom_site_fract_x
_atom_site_fract_y
_atom_site_fract_z
_atom_site_occupancy
Mg1 0.0000 0.0000 0.1991 1
Ni1 0.1181 0.1181 0.3819 1
Ni2 0.1672 0.1672 0.1672 1
As1 0.0000 0.0000 0.5000 1
As2 0.0000 0.2500 0.2500 1
```


3.
Density functional theory data (PBE-GGA) for an optimized crystal structure of MgAsO11.

Cell and atoms, written as CIF:
```
data_MgAsO11
_chemical_formula_sum 'Mg8 As8 O88'
_symmetry_space_group_name_H-M 'C 1 2/c 1'
_symmetry_Int_Tables_number 15
_cell_length_a 5.5878
_cell_length_b 24.2410
_cell_length_c 10.9511
_cell_angle_alpha 90.00
_cell_angle_beta 100.16
_cell_angle_gamma 90.00
loop_
_symmetry_equiv_pos_as_xyz
'x,y,z'
'-x,-y,-z'
'-x,y,-z+1/2'
'x,-y,z+1/2'
'x+1/2,y+1/2,z'
'-x+1/2,-y+1/2,-z'
'-x+1/2,y+1/2,-z+1/2'
'x+1/2,-y+1/2,z+1/2'
loop_
_atom_site_label
_atom_site_fract_x
_atom_site_fract_y
_atom_site_fract_z
_atom_site_occupancy
Mg1 0.0000 0.0385 0.2500 1
Mg2 0.0000 0.1779 0.7500 1
As1 0.1246 0.3780 0.4073 1
O1 0.0591 0.2426 0.3633 1
O2 0.0923 0.3821 0.5916 1
O3 0.1312 0.2193 0.1116 1
O4 0.1344 0.0594 0.0738 1
O5 0.1418 0.1654 0.5954 1
O6 0.1555 0.2572 0.8476 1
O7 0.1627 0.3605 0.1510 1
O8 0.1879 0.0555 0.6562 1
O9 0.2318 0.4766 0.2465 1
O10 0.2340 0.1025 0.3176 1
O11 0.2477 0.4696 0.9891 1
```


4.
# Mg17As6O32 | the Materials Project | PBE-GGA | optimized geometry
- - -
[Here the piece continues]
Circle F Dude Ranch believes strongly in preparing our staff for the summer. Each year we bring in the following organizations to train our staff in our departments.
- American Red Cross - First Aid, CPR, and Lifeguarding
- Certified Horseman Association - Riding Instructors
- USA Archery - Archery Instructors
- Alpine Tower International (Association of Challenge Course Technology Approved vendor) - Climbing Instructors
In addition to the outside training, all camp counselors attend a week-long intensive staff development course focused on key skills to address homesickness, bullying, behavior management, and youth development.